== Request ==
Find "2.562 10.515" and "1.273 eV/atom" in the contents below, and type out these two lines and those between.

== Material ==
~~~
! PBE Ga3WBr, optimized geometry; values from VASP
! crystal system: cubic
! volume: 148.70 Å³ per cell
! total moment: 4.1 μB/f.u.
! formation energy from raw total energies: 1.546 eV/atom
! relative energy among the computed polymorphs: 487 kJ/mol of formula units
&SYSTEM
  ibrav = 0, nat = 5, ntyp = 3
/
ATOMIC_SPECIES
Ga 69.72 Ga.upf
W 183.84 W.upf
Br 79.90 Br.upf
CELL_PARAMETERS angstrom
5.298 0.000 0.000
0.000 5.298 0.000
0.000 0.000 5.298
ATOMIC_POSITIONS angstrom
Ga 0.000 0.000 2.649
Ga 0.000 2.649 0.000
Ga 2.649 0.000 0.000
W 2.649 2.649 2.649
Br 0.000 0.000 0.000

! PBE BaTaTe2, optimized geometry; values from VASP
! crystal system: tetragonal
! volume: 342.02 Å³ per cell
! total moment: 2.3 μB/f.u.
! formation energy from raw total energies: -0.215 eV/atom
! relative energy among the computed polymorphs: 109 kJ/mol of formula units
&SYSTEM
  ibrav = 0, nat = 8, ntyp = 3
/
ATOMIC_SPECIES
Ba 137.33 Ba.upf
Ta 180.95 Ta.upf
Te 127.60 Te.upf
CELL_PARAMETERS angstrom
-3.458 3.458 7.152
3.458 -3.458 7.152
3.458 3.458 -7.152
ATOMIC_POSITIONS angstrom
Ba 0.000 0.000 0.000
Ba 0.000 3.458 3.576
Ta 3.458 0.000 3.576
Ta 0.000 0.000 7.152
Te 1.729 -1.128 5.364
Te 2.329 1.729 1.788
Te 1.729 4.586 -1.788
Te 1.128 1.729 8.940

! PBE La4AsPbBr2, optimized geometry; values from VASP
! crystal system: monoclinic
! volume: 253.08 Å³ per cell
! total moment: 0.0 μB/f.u.
! formation energy from raw total energies: -1.259 eV/atom
&SYSTEM
  ibrav = 0, nat = 8, ntyp = 4
/
ATOMIC_SPECIES
La 138.91 La.upf
As 74.92 As.upf
Pb 207.20 Pb.upf
Br 79.90 Br.upf
CELL_PARAMETERS angstrom
7.583 0.000 0.000
0.000 4.503 0.000
-2.696 0.000 7.412
ATOMIC_POSITIONS angstrom
La 1.126 0.000 1.675
La -0.235 2.251 5.684
La 5.122 2.251 1.727
La 3.761 0.000 5.737
As 0.000 2.251 0.000
Pb -1.348 0.000 3.706
Br 3.792 0.000 0.000
Br 2.443 2.251 3.706

! PBE LiZnTe2, optimized geometry; values from VASP
! crystal system: cubic
! volume: 99.76 Å³ per cell
! total moment: 0.0 μB/f.u.
! formation energy from raw total energies: 0.024 eV/atom
&SYSTEM
  ibrav = 0, nat = 4, ntyp = 3
/
ATOMIC_SPECIES
Li 6.94 Li.upf
Zn 65.41 Zn.upf
Te 127.60 Te.upf
CELL_PARAMETERS angstrom
0.000 3.681 3.681
3.681 0.000 3.681
3.681 3.681 0.000
ATOMIC_POSITIONS angstrom
Li 0.000 0.000 0.000
Zn 1.841 1.841 1.841
Te 3.681 3.681 3.681
Te 5.522 5.522 5.522

! PBE Nd7Bi3C2, optimized geometry; values from VASP
! crystal system: orthorhombic
! volume: 335.98 Å³ per cell
! total moment: 0.0 μB/f.u.
! DFT formation energy: -6.237 eV/f.u.
&SYSTEM
  ibrav = 0, nat = 12, ntyp = 3
/
ATOMIC_SPECIES
Nd 144.24 Nd.upf
Bi 208.98 Bi.upf
C 12.01 C.upf
CELL_PARAMETERS angstrom
2.562 -12.996 0.000
2.562 12.996 0.000
0.000 0.000 5.046
ATOMIC_POSITIONS angstrom
Nd 0.000 0.000 0.000
Nd 2.562 10.515 2.523
Nd 2.562 7.894 0.000
Nd 2.562 2.515 0.000
Nd 2.562 -2.515 0.000
Nd 2.562 -7.894 0.000
Nd 2.562 -10.515 2.523
Bi 2.562 4.912 2.523
Bi 2.562 0.000 2.523
Bi 2.562 -4.912 2.523
C 2.562 10.330 0.000
C 2.562 -10.330 0.000

! PBE TaReTe2C, optimized geometry; values from VASP
! crystal system: tetragonal
! volume: 89.62 Å³ per cell
! total moment: 0.0 μB/f.u.
! formation energy from raw total energies: 1.273 eV/atom
&SYSTEM
  ibrav = 0, nat = 5, ntyp = 4
/
ATOMIC_SPECIES
Ta 180.95 Ta.upf
Re 186.21 Re.upf
Te 127.60 Te.upf
C 12.01 C.upf
CELL_PARAMETERS angstrom
4.650 0.000 0.000
0.000 4.650 0.000
0.000 0.000 4.144
ATOMIC_POSITIONS angstrom
Ta 0.000 0.000 0.000
Re 2.325 2.325 0.000
Te 0.000 2.325 2.072
Te 2.325 0.000 2.072
C 0.000 0.000 2.072
~~~

== Written answer ==
Nd 2.562 10.515 2.523
Nd 2.562 7.894 0.000
Nd 2.562 2.515 0.000
Nd 2.562 -2.515 0.000
Nd 2.562 -7.894 0.000
Nd 2.562 -10.515 2.523
Bi 2.562 4.912 2.523
Bi 2.562 0.000 2.523
Bi 2.562 -4.912 2.523
C 2.562 10.330 0.000
C 2.562 -10.330 0.000

! PBE TaReTe2C, optimized geometry; values from VASP
! crystal system: tetragonal
! volume: 89.62 Å³ per cell
! total moment: 0.0 μB/f.u.
! formation energy from raw total energies: 1.273 eV/atom